ScribeGT6817 wrote:Boidoh wrote:ScribeGT6817 wrote:Andybrick95 wrote:1Hello, Mr. Farshtey!
Uh... Nice weather we're having, huh?
## NpAg4Au (GGA-PBE)

Data for a relaxed NpAg4Au crystal.

space group = F-43m
calculated formation energy = 0.8 eV per formula unit

Cell: 5.5469 5.5469 5.5469 Å, 60.00 60.00 60.00°
Element x y z (fractional)
Np (0.0000, 0.0000, 0.0000)
Ag (0.3755, 0.3755, 0.3755)
Ag (0.3755, 0.3755, 0.8736)
Ag (0.3755, 0.8736, 0.3755)
Ag (0.8736, 0.3755, 0.3755)
Au (0.7500, 0.7500, 0.7500)

=====

## NpAg2AuO6 (GGA-PBE)

Data for a relaxed NpAg2AuO6 crystal.

space group = C2/m
ΔE_f (raw) = -1155 meV/atom

Cell: 6.2467 6.2467 5.0547 Å, 110.46 110.46 54.80°
Element x y z (fractional)
Np (0.0000, 0.0000, 0.0000)
Ag (0.2682, 0.2682, 0.8011)
Ag (0.7318, 0.7318, 0.1989)
Au (0.5000, 0.5000, 0.5000)
O (0.1596, 0.1596, 0.3204)
O (0.1831, 0.6547, 0.1825)
O (0.3453, 0.8169, 0.8175)
O (0.6547, 0.1831, 0.1825)
O (0.8169, 0.3453, 0.8175)
O (0.8404, 0.8404, 0.6796)

=====

## PuNpAgAu (GGA-PBE)

Data for a relaxed PuNpAgAu crystal.

space group = F-43m
calculated formation energy = 0.0 eV per formula unit

Cell: 4.9232 4.9232 4.9232 Å, 60.00 60.00 60.00°
Element x y z (fractional)
Pu (0.0000, 0.0000, 0.0000)
Np (0.2500, 0.2500, 0.2500)
Ag (0.7500, 0.7500, 0.7500)
Au (0.5000, 0.5000, 0.5000)

=====

## Np3Ag3AuS8 (GGA-PBE)

Data for a relaxed Np3Ag3AuS8 crystal.

space group = C2/m
ΔE_f (raw) = -678 meV/atom

Cell: 7.5728 7.5728 7.7337 Å, 118.48 118.48 66.85°
Element x y z (fractional)
Np (0.0000, 0.0000, 0.0000)
Np (0.0000, 0.5000, 0.5000)
Np (0.5000, 0.0000, 0.5000)
Ag (0.0000, 0.5000, 0.0000)
Ag (0.5000, 0.0000, 0.0000)
Ag (0.5000, 0.5000, 0.5000)
Au (0.5000, 0.5000, 0.0000)
S (0.2111, 0.7864, 0.2540)
S (0.2136, 0.7889, 0.7460)
S (0.2580, 0.2580, 0.2755)
S (0.2692, 0.2692, 0.7489)
S (0.7308, 0.7308, 0.2511)
S (0.7420, 0.7420, 0.7245)
S (0.7864, 0.2111, 0.2540)
S (0.7889, 0.2136, 0.7460)

=====

## NpAgSbAu (GGA-PBE)

Data for a relaxed NpAgSbAu crystal.

space group = F-43m
ΔE_f (raw) = -100 meV/atom

Cell: 5.0422 5.0422 5.0422 Å, 60.00 60.00 60.00°
Element x y z (fractional)
Np (0.0000, 0.0000, 0.0000)
Ag (0.5000, 0.5000, 0.5000)
Sb (0.7500, 0.7500, 0.7500)
Au (0.2500, 0.2500, 0.2500)

=====

## NpAgSnAu (GGA-PBE)

Data for a relaxed NpAgSnAu crystal.

space group = F-43m
calculated formation energy = -0.2 eV per formula unit

Cell: 5.0132 5.0132 5.0132 Å, 60.00 60.00 60.00°
Element x y z (fractional)
Np (0.0000, 0.0000, 0.0000)
Ag (0.7500, 0.7500, 0.7500)
Sn (0.5000, 0.5000, 0.5000)
Au (0.2500, 0.2500, 0.2500)

=====

## NpAgTeAu (GGA-PBE)

Data for a relaxed NpAgTeAu crystal.

space group = F-43m
ΔE_f (raw) = -159 meV/atom

Cell: 5.0832 5.0832 5.0832 Å, 60.00 60.00 60.00°
Element x y z (fractional)
Np (0.0000, 0.0000, 0.0000)
Ag (0.5000, 0.5000, 0.5000)
Te (0.2500, 0.2500, 0.2500)
Au (0.7500, 0.7500, 0.7500)

=====

## NpZn2AgAu2 (GGA-PBE)

Data for a relaxed NpZn2AgAu2 crystal.

space group = P-3m1
calculated formation energy = -0.7 eV per formula unit

Cell: 4.5370 4.5370 6.5980 Å, 90.00 90.00 120.00°
Element x y z (fractional)
Np (0.0000, 0.0000, 0.0000)
2I know this isn't a BIONICLE or Ninjago-related question, but I'm just curious.
These calculated crystals were left in the entry by mistake:
'''
VASP calculation (PBE-GGA) on RbTi4Te8 after structural relaxation.

Values from the calculation:
N(E_F): 0.46 states/eV/atom
ΔE_f (raw): -0.73 eV per atom
Symmetry: No. 12
Raw total energy: -67.1 eV/cell
Distance to the lowest polymorph of the same formula: 0 kJ/mol of formula units

Geometry as CIF:
```
data_RbTi4Te8
_cell_length_a 3.8538
_cell_length_b 9.7289
_cell_length_c 10.4445
_cell_angle_alpha 82.90
_cell_angle_beta 79.37
_cell_angle_gamma 78.58
_symmetry_space_group_name_H-M 'P 1'
_symmetry_Int_Tables_number 1
_symmetry_space_group_name_Hall 'P 1'
loop_
_atom_site_label
_atom_site_fract_x
_atom_site_fract_y
_atom_site_fract_z
Rb1 0.5156 0.0017 0.9671
Ti1 0.3614 0.8368 0.4405
Ti2 0.8459 0.4988 0.8094
Ti3 0.1855 0.5047 0.1243
Ti4 0.6700 0.1666 0.4934
Te1 0.1439 0.3399 0.3722
Te2 0.5526 0.6633 0.2316
Te3 0.4788 0.3401 0.7022
Te4 0.8876 0.6633 0.5614
Te5 0.8562 0.9946 0.2930
Te6 0.2138 0.6794 0.8930
Te7 0.1752 0.0087 0.6408
Te8 0.8176 0.3241 0.0406
```


A relaxed KAu2C crystal. Source: Alexandria via LeMat-Bulk, functional PBE-GGA.

a = 6.7171 Å, b = 6.7171 Å, c = 6.7171 Å
α = 120.62°, β = 120.62°, γ = 88.94°
Last column: nearest neighbours and their distance in Å.
Element x y z (fractional)
K (0.3750, 0.6250, 0.7500)  12 Au 3.91-3.96, 4 C 4.10, 4 K 4.10
K (0.6250, 0.3750, 0.2500)  12 Au 3.91-3.96, 4 C 4.10, 4 K 4.10
Au (0.0000, 0.0000, 0.0000)  2 C 2.05
Au (0.0000, 0.0000, 0.5000)  2 C 2.05
Au (0.0000, 0.5000, 0.0000)  2 C 2.05
Au (0.5000, 0.0000, 0.5000)  2 C 2.05
C (0.1250, 0.8750, 0.2500)  4 Au 2.05
C (0.8750, 0.1250, 0.7500)  4 Au 2.05

space group	No. 141
D(E_F)	2.10	states/eV/f.u.
energy of formation	0.388	eV/atom
'''
Here the entry continues:
3In LEGO City Undercover, there are a lot of references to different things. They have Pirahna Plants, Albert Spindlerouter (from that movie, y'know?
), and they even had Morgan Freeman play Blu Whittaker, who's appearance is similar to a character he (Freeman) played in a movie IRL. They also included a character that only had one line in the entire game, but I didn't realize there might've been a connection until now.
4My question is this: Was the character "George Fartarbensonbury" based off of you?
5Doubt it. It's unlikely the people who made the game were even aware of me.
6I looked it up. He does have a similar beard to yours... And the initials are the same. George Fatarbensonbury - Greg Farshtey - G F...
7Like I said, if that's the case, I am not aware of it. I don't know anyone involved with the development of the game and I can't see why they would have bothered to include me. Certainly no one ever asked me about being included.
8How would you feel if it WAS a reference to you?
9For the record, he's a crook who gets caught at the end of the first level.
ToaofTime4266 wrote:1Will the De-Matoran live in New Atero or try to find a quiet place to live in on Spherus Magna?
2My expectation is that a lot of the tribes will spread out over time. If the society becomes truly integrated,you may have some Matoran in a tribe living in one location and some in another.
STARROCKS923 wrote:ScribeGT6817 wrote:Boidoh wrote:ScribeGT6817 wrote:Andybrick95 wrote:1Hello, Mr. Farshtey!
Uh... Nice weather we're having, huh?
2I know this isn't a BIONICLE or Ninjago-related question, but I'm just curious.
3In LEGO City Undercover, there are a lot of references to different things. They have Pirahna Plants, Albert Spindlerouter (from that movie, y'know?
_Inserted here: calculated crystals_
____________
Entry 1:
LaPmNiCl | PBE | optimized geometry

a = 4.0068 Å, b = 4.0096 Å, c = 7.9821 Å
α = 90.00°, β = 104.56°, γ = 120.02°
Last column: nearest neighbours and their distance in Å.
Fractional coordinates of all 4 atoms:
La1 0.5015 0.1488 0.6649  3 Ni 2.80
Pm1 0.1074 0.9515 0.0749  3 Ni 2.78-2.79
Ni1 0.3057 0.5508 0.8719  3 Pm 2.78-2.79, 3 La 2.80
Cl1 0.9633 0.3796 0.3580  3 Pm 3.17, 3 La 3.29

Its formation energy (no corrections) is -0.922 eV/atom. The electronic total energy is -21.00 eV per cell. For the magnetic moment, the calculation gives 0.0000 μB/atom.


Entry 2:
La4NiPtCl2 | PBE | optimized geometry

a = 4.3031 Å, b = 7.1270 Å, c = 7.8576 Å
α = 106.47°, β = 90.00°, γ = 90.00°
Last column: nearest neighbours and their distance in Å.
Fractional coordinates of all 8 atoms:
La1 0.5000 0.2358 0.2080  1 Pt 2.82, 2 Ni 2.93
La2 0.5000 0.7642 0.7920  1 Pt 2.82, 2 Ni 2.93
La3 0.0000 0.2496 0.7947  1 Ni 2.72, 2 Pt 2.96
La4 0.0000 0.7504 0.2053  1 Ni 2.72, 2 Pt 2.96
Ni1 0.0000 0.0000 0.0000  6 La 2.72-2.93
Pt1 0.5000 0.5000 0.0000  6 La 2.82-2.96
Cl1 0.5000 0.0000 0.5000  6 La 3.21-3.29
Cl2 0.0000 0.5000 0.5000  6 La 3.30-3.32

Its formation energy (no corrections) is -1.204 eV/atom. The electronic total energy is -44.86 eV per cell. For the magnetic moment, the calculation gives 0.0000 μB/atom.


Entry 3:
La8Ni3RhCl4 | PBE | optimized geometry

a = 8.2646 Å, b = 8.9775 Å, c = 8.2798 Å
α = 117.50°, β = 119.94°, γ = 90.00°
Last column: nearest neighbours and their distance in Å.
Fractional coordinates of all 16 atoms:
La1 0.2362 0.7045 0.9694  2 Ni 2.84-2.85, 1 Rh 2.86
La2 0.2360 0.7043 0.4720  2 Ni 2.84, 1 Rh 2.87
La3 0.2659 0.2989 0.5319  3 Ni 2.83-2.84
La4 0.7332 0.7045 0.9694  2 Ni 2.84-2.85, 1 Rh 2.86
La5 0.2668 0.2955 0.0306  2 Ni 2.84-2.85, 1 Rh 2.86
La6 0.7341 0.7011 0.4681  3 Ni 2.83-2.84
La7 0.7640 0.2957 0.5280  2 Ni 2.84, 1 Rh 2.87
La8 0.7638 0.2955 0.0306  2 Ni 2.84-2.85, 1 Rh 2.86
Ni1 0.5000 0.5000 0.0000  6 La 2.84
Ni2 0.5000 0.5000 0.5000  6 La 2.83-2.85
Ni3 0.0000 0.5000 0.5000  6 La 2.83-2.85
Rh1 0.0000 0.5000 0.0000  6 La 2.86-2.87
Cl1 0.5000 0.0000 0.0000  6 La 3.27
Cl2 0.5000 0.0000 0.5000  6 La 3.28-3.30
Cl3 0.0000 0.0000 0.0000  6 La 3.28-3.29
Cl4 0.0000 0.0000 0.5000  6 La 3.28-3.30

Its formation energy (no corrections) is -1.053 eV/atom. The electronic total energy is -88.34 eV per cell. For the magnetic moment, the calculation gives 0.0001 μB/atom.


Entry 4:
La4NiRhCl2 | PBE | optimized geometry

a = 4.1292 Å, b = 7.2104 Å, c = 8.0178 Å
α = 107.70°, β = 90.00°, γ = 90.00°
Last column: nearest neighbours and their distance in Å.
Fractional coordinates of all 8 atoms:
La1 0.5000 0.2368 0.2051  2 Rh 2.86, 1 Ni 2.86
La2 0.5000 0.7632 0.7949  2 Rh 2.86, 1 Ni 2.86
La3 0.0000 0.2684 0.7985  2 Ni 2.83, 1 Rh 2.87
La4 0.0000 0.7316 0.2015  2 Ni 2.83, 1 Rh 2.87
Ni1 0.5000 0.5000 0.0000  6 La 2.83-2.86
Rh1 0.0000 0.0000 0.0000  6 La 2.86-2.87
Cl1 0.5000 0.0000 0.5000  6 La 3.30-3.31
Cl2 0.0000 0.5000 0.5000  6 La 3.28-3.31
____________
), and they even had Morgan Freeman play Blu Whittaker, who's appearance is similar to a character he (Freeman) played in a movie IRL. They also included a character that only had one line in the entire game, but I didn't realize there might've been a connection until now.
4My question is this: Was the character "George Fartarbensonbury" based off of you?
5Doubt it. It's unlikely the people who made the game were even aware of me.
6I looked it up. He does have a similar beard to yours... And the initials are the same. George Fatarbensonbury - Greg Farshtey - G F...
7Like I said, if that's the case, I am not aware of it. I don't know anyone involved with the development of the game and I can't see why they would have bothered to include me. Certainly no one ever asked me about being included.
8How would you feel if it WAS a reference to you?
9For the record, he's a crook who gets caught at the end of the first level.
10I really have more important things to worry about.
1dear Greg
2this is just some fan mail. i loved the bionicle series as a kid and im so happy that it has returned. i just have a few questions and i would love it if you could answer them for me. if the answers contain stuff that is confidetial just say that you cant tell me right now. thanks!
31.i was wondering if you were writing bionicle again because i bought so many of your bionicle books and i loved them.
42.i was wondering if the tv adds would be in comic form or cgi like they used to be (i personally like cgi better).
53. when will the bionicle sets be released in australia? they always come out about 6 months late but i was wondering if this time they were coming out a bit earlier.
6thanks for your time!
7From Flynn
1Hello Greg,
2I have some questions related to the Kakama worn by a Toa Mangai found by The Shadowed One at one of the Sea Gates of Metru Nui. We do know this mask was the one this Toa Mangai wore just before being eliminated by Eliminator, but since Metru Nui had a Suva and a lot of masks - some spare great masks were done for the Toa Metru even before they were created and stockpiled in the Great Temple - there's a possibility it was not his "normal" mask, but just a secondary one.
31a. Was the Suva of Metru Nui used by the Toa Mangai?
41b. If not, did they sometimes changed their masks manually for a mission?
51c. As you know it, there is currently a poll on BZPower to determine which Toa Mangai wore the Kakama. Do you think making it a secondary mask that is usually in the Suva/the Great Temple should be an option, or should it be considered as the main mask of one of the Toa?
62. Would it be possible one of the Toa Mangai wore an Elemental Mask, like the Garai but for others elements than Gravity?
flidget wrote:1dear Greg
2this is just some fan mail. i loved the bionicle series as a kid and im so happy that it has returned. i just have a few questions and i would love it if you could answer them for me. if the answers contain stuff that is confidetial just say that you cant tell me right now. thanks!
31.i was wondering if you were writing bionicle again because i bought so many of your bionicle books and i loved them.
42.i was wondering if the tv adds would be in comic form or cgi like they used to be (i personally like cgi better).
53. when will the bionicle sets be released in australia? they always come out about 6 months late but i was wondering if this time they were coming out a bit earlier.
6thanks for your time!
7From Flynn
81) No.
92-3) I have no information on this.
1There seems to be.. erm.. some 'small' disagreements about the polls. Some people want there to be an option that says "the masks should remain unknown". Many people have weighed in their opinions on the topic, but the one person's opinion who matters the most wasn't said. So what do YOU think? Should this option be on the polls or not?
Boidoh wrote:1There seems to be.. erm.. some 'small' disagreements about the polls. Some people want there to be an option that says "the masks should remain unknown". Many people have weighed in their opinions on the topic, but the one person's opinion who matters the most wasn't said. So what do YOU think? Should this option be on the polls or not?
2I see no reason not to include that. If the majority of people who vote would rather not know, it is important to be able to see that. If, on the other hand, that option loses in the poll, then you know that a majority of people do want this information and the people who do not are in the minority.